8:06 PM on a Thursday night:
Just shy of 6 months preggo with our second, I dream and dream and dream of a full, proper “local’s pour” of crisp, bright Chardonnay. I can even hear it unfurl into clean stemware right now! Selfishly, we have this cellar across the creek calling my name. And no matter how you cut it, my damned Cucumber tea is NOT the same thing as Chardonnay.
To brag, we have one of the finest, most fabulous Chardonnays in both Valleys. Crisp, bright, surging with white fruit, and barrel fermented with just a hint of oak. We make the kind of wine we as red-wine-lovers want to drink. You can do that when you hand-make your wine in small batches. And when you wear cowgirl boots to work and sling wine out of an old redwood barn! But when you’re a wine label known specifically for your reds and you go on to tackle the Queen of all white grapes, respect and care must be taken at every turn in the winemaking process not to over oak your beautiful juice.

Chardonnay is a robust, magnificent grape. Superb, majestic, statuesque and all female. Born from the tight Burgundy hillsides eons ago, Chardonnay flourishes especially well in the warm sunny microclimates in California. I, for one, am a fan of ‘less expensive’ Chardonnays — the crisper, brighter Chards that don’t often fare well in the heavy handed palate of America’s wine critiques. Which suits me and my pocketbook just fine. Had I followed “90 pointers” and not explored my own palate over the last 5 years, I wouldn’t know that I favor more elegant, medium- to light-bodied wines that go well with what I am cooking.
By “cheaper” Chardonnays, I mean usually less than $30 a bottle with a cellared $55 bottle for a special occasion. Unless you won’t bat an eye, forget the $70-$125 bottles. People buy those usually when they haven’t done their homework. Be proactive! Conscientious, safe, proactive drinking is a good thing! It is how you learn.
To get down to brass tacks, I like Chardonnays grown in a cooler, more coastal zone that is pressed from the skins and stems immediately (see picture below) and fermented in a mixture of steel and neutral French oak with subsequent barrel aging and only partial ML. In English, grapes coming in from cooler vineyards tend to produce more fruit-driven wines with a healthy dose of minerality and sandy shale. Fermenting their juices without the skins in steel and neutral oak lifts up the fruit and mineral elements over any resulting butter or vanilla notes. Grapes from the Napa Valley or equally warm regions show (after production) too much vanilla and butter for me. But every single person, tongue, nose, and mouth is different. Yet this butter quality is a key entrance point for wine drinkers across America — like whole milk and vanilla extract, its a mouthfeel and familiar flavor newcomers to wine feel comfortable with. As winemakers today, I am grateful to all visitors who started with a buttery Chardonnay and now are taking the next steps to learn about their palates and explore different types of Chardonnay.
# The text is interrupted by crystal structures
[1]
Here is an optimized crystal structure of Sc2CO from the Materials Project database. Energies are from meta-GGA r2SCAN.

Output
VASP energy: -11.7979 eV per atom
Space group: R-3m
M_tot: 0.0 μB per formula unit
Mass density: 4065 kg/m³
E_form: -2.119 eV per atom

Cell: 5.6116 5.6116 5.6116 Å, 33.59 33.59 33.59°
Last column: nearest neighbours and their distance in Å.
Fractional coordinates of all 4 atoms:
C1 0.5000 0.5000 0.5000  6 Sc 2.26
Sc1 0.2464 0.2464 0.2464  3 C 2.26, 3 O 2.33
Sc2 0.7536 0.7536 0.7536  3 C 2.26, 3 O 2.33
O1 0.0000 0.0000 0.0000  6 Sc 2.33

[2]
Here is an optimized crystal structure of HoRh2 from the Materials Project database. Energies are from meta-GGA r2SCAN.

Output
VASP energy: -27.8676 eV per atom
Space group: Fd-3m
M_tot: 0.0 μB per formula unit
Mass density: 11808 kg/m³
E_form: -0.816 eV per atom

Cell: 5.2832 5.2832 5.2832 Å, 60.00 60.00 60.00°
Last column: nearest neighbours and their distance in Å.
Fractional coordinates of all 6 atoms:
Rh1 0.0000 0.5000 0.5000  6 Rh 2.64
Rh2 0.5000 0.0000 0.5000  6 Rh 2.64
Rh3 0.5000 0.5000 0.0000  6 Rh 2.64
Ho1 0.1250 0.1250 0.1250  12 Rh 3.10, 4 Ho 3.24
Rh4 0.5000 0.5000 0.5000  6 Rh 2.64
Ho2 0.8750 0.8750 0.8750  12 Rh 3.10, 4 Ho 3.24

Unfortunately, Chardonnay have been bastardized for decades into some butter-ball in a glass. Luckily, we as an industry are seriously trending away from that but for years huge Wine houses produced Chardonnays for supermarket shelves across the country, cut corners in production, and mixed in sugars, syrups, and additives to simulate fine wines. And the result is SOOOO fattening. Think of anything less than $20 anywhere as pouring fast food into your glass every night. You may as well self-smear cellulite on while you’re at it. These same houses also paid some cellar rat to don a Hazmat suit and add oak dust to ginormous tanks of fermenting grape juice. The gunk is filtered out later after fermentation and chemically creates that “oaky mouthfeel” in the finished wine. It fakes that buttery quality that expensive ‘buttery Chardonnays’ get from extensive barrel fermentation and aging. Oak dust additives also gives those of us with sulfite sensitivies a nasty headache. And in my case, makes me a bitch.
Here in California, we are lucky. There are more than 850 different, federally recognized Wineries selling Chardonnay. Most of them sell more than one option too. In fact, more than 1/3 of all grapes grown in this Golden State are Chardonnay. She’s a lovely muse to be sure and grape growers must work harder to coax vineyards to yield large crops every year. Naturally, Chardonnay as a vine is more restrained than say Sauvignon Blanc or Riesling. As a result, grape tonnage will be more expensive than other white varietals — hence a bigger price tag starting off. And she loves French oak. When Chardonnay spends time in French Oak barrels, the wood amplifies the grape’s natural vanilla, citrus, and white fruit characteristics, creating a more spectacular wine. (Which is why big houses cut corner to fake this. It tastes good.) But for fine wine artisans, like Dean and myself, cutting those corners demonizes a lengthy, creative waltz we’ve been honored to learn from leaders today and lessons learned from generations past.
Since some of you know I’m a wine writer here in Wine Country, I try A LOT of Chardonnays. But when it comes to my home and my glass, I drink and buy what I love. My exceedingly short and steady list of favorites is:
- 2010 Annadel Estate Chardonnay ($34) http://annadelestatewinery.com
- Schug Carneros Estate Chardonnays — all three are perfection ($22-55) http://shop.schugwinery.com
- Hafner Chardonnays — both are superb and I am an actual member of their Wine Club! (mid $20-30s) http://www.hafnervineyard.com/
- Deerfield Ranch Winery Chardonnay — the right amount of butter! ($35) http://deerfieldranch.com
- Idle Cellars Chardonnay — Two strong boys created one of the more lovely and lyrical Chardonnays anywhere in the Valley! http://idlecellars.com ($20)
- MacRostie Chardonnay from Wildcat Mountain Vineyards — bright and bountiful http://www.macrostiewinery.com ($35)
- Haywood Estate Chardonnay — the Los Chamizal Vineyards source for our Chardonnay and Deerfield’s. He knows his soil and vines surely! http://haywoodwinery.com
I’d also recommend Lynmar Chardonnay for a killer Russian River Valley selection if their Tasting Room staff wasn’t so unpleasant!
Out of FIVE YEARS of conscientious, proactive drinking and learning, I give you my short list. Happy and safe drinking!
Holy cow! Your knowledge is thrilling to read—and you know a lot! As someone without much study in this area, I am so absolutely impressed with how much you’ve learned in five years and how well you communicate this to us. You make the language of wine so poetic.
== Crystal structures, as found in the file ==
-- begin --
{"formula": "BaPrMgMn2O6", "functional": "PBE with a Hubbard U", "state": "optimized geometry", "density_kg_m3": 4887, "volume_a3_per_atom": 15.7, "relative_energy_mev_per_atom": 145, "delta_e_f_ev_per_fu": -28.01, "spacegroup": "P4mm, No. 99", "lattice": [[3.920, 0.000, 0.000], [0.000, 3.920, 0.000], [0.000, 0.000, 11.239]], "species": ["O", "O", "O", "O", "O", "O", "Pr", "Mn", "Mn", "Mg", "Ba"], "fractional_positions": [[0.000, 0.500, 0.718], [0.500, 0.000, 0.256], [0.500, 0.500, 0.070], [0.500, 0.500, 0.475], [0.000, 0.500, 0.256], [0.500, 0.000, 0.718], [0.000, 0.000, 0.117], [0.500, 0.500, 0.269], [0.500, 0.500, 0.663], [0.000, 0.000, 0.756], [0.000, 0.000, 0.452]]}

----------

{
  "formula": "Eu3OsO7",
  "functional": "meta-GGA r2SCAN",
  "state": "optimized geometry",
  "ef_ev_per_atom": -2.544,
  "e_tot_ev_per_atom": -21.67,
  "space_group": "Cmcm",
  "m_tot_mub_per_cell": 42.0,
  "vol_a3_per_atom": 13.65,
  "density_g_cm3": 8.4,
  "lattice": [[5.424, -3.674, 0.000], [5.424, 3.674, 0.000], [0.000, 0.000, 7.535]],
  "species": ["Eu", "Eu", "Eu", "Eu", "Eu", "Eu", "Os", "Os", "O", "O", "O", "O", "O", "O", "O", "O", "O", "O", "O", "O", "O", "O"],
  "fractional_positions": [[0.000, 0.000, 0.000], [0.000, 0.000, 0.500], [0.073, 0.473, 0.750], [0.473, 0.073, 0.250], [0.527, 0.927, 0.750], [0.927, 0.527, 0.250], [0.500, 0.500, 0.000], [0.500, 0.500, 0.500], [0.105, 0.160, 0.250], [0.160, 0.105, 0.750], [0.193, 0.558, 0.040], [0.193, 0.558, 0.460], [0.416, 0.584, 0.750], [0.442, 0.807, 0.040], [0.442, 0.807, 0.460], [0.558, 0.193, 0.540], [0.558, 0.193, 0.960], [0.584, 0.416, 0.250], [0.807, 0.442, 0.540], [0.807, 0.442, 0.960], [0.840, 0.895, 0.250], [0.895, 0.840, 0.750]]
}

{
  "formula": "EuAu5",
  "functional": "meta-GGA r2SCAN",
  "state": "optimized geometry",
  "ef_ev_per_atom": -0.486,
  "e_tot_ev_per_atom": -49.06,
  "space_group": "P6/mmm",
  "m_tot_mub_per_cell": 7.1,
  "vol_a3_per_atom": 21.08,
  "density_g_cm3": 14.9,
  "lattice": [[5.592, 0.000, 0.000], [-2.796, 4.842, 0.000], [0.000, 0.000, 4.670]],
  "species": ["Eu", "Au", "Au", "Au", "Au", "Au"],
  "fractional_positions": [[0.000, 0.000, 0.000], [0.000, 0.500, 0.500], [0.333, 0.667, 0.000], [0.500, 0.000, 0.500], [0.500, 0.500, 0.500], [0.667, 0.333, 0.000]]
}

{
  "formula": "Rb3FeS3",
  "functional": "meta-GGA r2SCAN",
  "state": "optimized geometry",
  "ef_ev_per_atom": -1.139,
  "e_tot_ev_per_atom": -12.61,
  "space_group": "P2_1/c",
  "m_tot_mub_per_cell": 20.0,
  "vol_a3_per_atom": 30.87,
  "density_g_cm3": 3.1,
  "lattice": [[7.979, 0.000, 0.000], [0.000, 13.011, 0.000], [-6.323, 0.000, 8.327]],
  "species": ["Rb", "Rb", "Rb", "Rb", "Rb", "Rb", "Rb", "Rb", "Rb", "Rb", "Rb", "Rb", "Fe", "Fe", "Fe", "Fe", "S", "S", "S", "S", "S", "S", "S", "S", "S", "S", "S", "S"],
-- stop --
== End of the crystal structures ==
Hi Gayle and David,It’s Kim from King Family Vineyards. It was so good to see you today at the vineyard I just wish we could have spent more time ttgoeher!! I haven’t read everything on your blog but I have enjoyed what I have read! And when I have my coffee in the morning I’ll read more.By the way, you made my day today!!!Kim
Dang, well written! I am one of those red wine drinkers that rarely likes a Chardonnay, occasionally liking a spicy fume, remember adoring a Haywood….
Thank you guys so much for posting here! Hugely appreciate the compliments. Sometimes I feel like no one even reads it! 🙂